• Contents:
=====
Entry 1:
DFT (GGA-PBE) results for a geometry-optimized Sc2MnP structure.

extended XYZ file:
```
4
Lattice="-2.886 -0.665 -0.526 0.304 -2.553 1.561 -1.955 3.569 6.218" Properties=species:S:1:pos:R:3 pbc="T T T"
Sc -1.832 3.343 5.826
Sc -1.901 -0.495 2.458
Mn -1.093 1.995 3.476
P -2.644 0.860 4.820
```

Output
* density: 4.34 g cm⁻³
* ΔH_f (0 K): -417.5 meV per atom
* volume: 16.8 Å³/atom
* space group: P4mm (99)

Entry 2:
DFT (GGA-PBE) results for a geometry-optimized K2LaBr structure.

extended XYZ file:
```
4
Lattice="8.208 -0.005 0.006 4.482 6.877 -0.006 -5.334 -5.304 3.286" Properties=species:S:1:pos:R:3 pbc="T T T"
Br 2.902 2.589 1.640
K 0.783 0.424 0.000
K 4.525 -0.982 1.646
La 5.492 2.974 0.000
```

Output
* formation energy (no corrections): -0.396 eV per atom
* density: 2.66 g cm⁻³
* volume: 46.3 Å³/atom
* ΔE to the lowest computed polymorph: 161 meV/atom
* space group: Imm2 (44)

Entry 3:
DFT (GGA-PBE) results for a geometry-optimized Nb6Al3V structure.

extended XYZ file:
```
20
Lattice="5.038 0.000 0.018 0.000 7.866 0.000 0.052 0.000 9.051" Properties=species:S:1:pos:R:3 pbc="T T T"
Nb 2.880 1.305 8.565
Nb 2.819 1.364 5.052
Nb 3.321 3.324 2.344
Nb 1.769 4.542 6.725
Nb 2.271 6.502 4.016
Nb 2.209 6.561 0.503
Nb 0.335 2.628 4.031
Nb 0.274 2.569 0.518
Nb 0.828 0.609 6.860
Nb 4.262 7.256 2.208
Nb 4.815 5.297 8.551
Nb 4.754 5.238 5.037
Al 3.333 7.006 6.809
Al 2.519 3.933 0.009
Al 1.756 0.860 2.259
Al 0.788 4.793 2.275
Al 0.026 0.000 4.525
Al 4.301 3.073 6.794
V 2.545 3.933 4.534
V 0.000 0.000 0.000
```

Output
* density: 6.38 g cm⁻³
* ΔH_f (0 K): 86.4 meV per atom
* volume: 17.9 Å³/atom
* space group: P2_1/c (14)

Entry 4:
DFT (GGA-PBE) results for a geometry-optimized ErMnFe2 structure.

extended XYZ file:
```
16
Lattice="7.711 -3.359 0.000 -3.404 7.697 0.000 0.000 0.000 6.111" Properties=species:S:1:pos:R:3 pbc="T T T"
Er -0.851 1.924 3.821
Er 1.302 4.093 0.767
Er 5.158 2.414 2.290
Er 3.005 0.245 5.344
Mn 1.302 4.093 3.822
Mn 3.004 0.245 2.290
Mn -0.851 1.924 0.772
Mn 5.158 2.414 5.339
Fe 0.000 0.000 0.000
Fe 2.153 2.169 3.056
Fe -0.607 4.906 4.595
Fe 4.914 -0.568 1.516
Fe 3.212 3.281 4.595
Fe 1.095 1.057 1.516
Fe -1.702 3.849 0.000
Fe 3.856 -1.680 3.056
```

Output
* density: 7.57 g cm⁻³
* ΔH_f (0 K): 583.4 meV per atom
* volume: 18.3 Å³/atom
* space group: P2/c (13)

Entry 5:
DFT (GGA-PBE) results for a geometry-optimized PmHo4Zn structure.

extended XYZ file:
```
12
Lattice="6.142 -0.641 0.000 -2.417 8.646 0.000 -1.863 -4.002 6.785" Properties=species:S:1:pos:R:3 pbc="T T T"
Pm 0.327 4.163 1.353
Pm 1.536 -0.160 5.432
Ho -1.637 -1.719 5.307
Ho 1.792 3.132 4.326
Ho -1.434 2.039 5.307
Ho -1.138 5.194 4.326
Ho 3.000 -1.191 2.459
Ho 3.297 1.963 1.478
Ho 0.071 0.871 2.459
Ho 3.500 5.721 1.478
Zn -2.744 4.483 6.781
Zn 4.607 -0.481 0.004
```

Output
* density: 8.26 g cm⁻³
* ΔH_f (0 K): -1.2 meV per atom
* volume: 29.1 Å³/atom
* ΔE to the lowest computed polymorph: 96 meV/atom
* space group: C2/c (15)

Entry 6:
DFT (GGA-PBE) results for a geometry-optimized Al2TeSe structure.

extended XYZ file:
```
4
Lattice="-0.919 1.094 3.746 -2.179 -2.437 2.322 4.505 -3.279 4.143" Properties=species:S:1:pos:R:3 pbc="T T T"
Te 0.352 -1.155 2.553
Al 4.416 -3.232 4.105
Al 0.792 -2.358 5.144
Se 1.055 -3.466 7.658
```

Output
* formation energy (no corrections): -0.286 eV per atom
* density: 4.73 g cm⁻³
* volume: 22.9 Å³/atom
* ΔE to the lowest computed polymorph: 64 meV/atom
* space group: C2/m (12)

Entry 7:
DFT (GGA-PBE) results for a geometry-optimized BeCdCl2 structure.

extended XYZ file:
```
8
Lattice="6.651 0.000 0.000 0.000 6.651 0.000 3.326 3.326 4.611" Properties=species:S:1:pos:R:3 pbc="T T T"
Be 3.326 3.326 0.000
Be 3.326 6.651 2.305
Cl 2.958 1.663 1.153
Cl 3.694 4.989 1.153
Cl 4.989 7.019 3.458
Cl 8.314 6.283 3.458
Cd 0.000 0.000 0.000
Cd 6.651 3.326 2.305
```

Output
* formation energy (no corrections): -0.716 eV per atom
* density: 3.13 g cm⁻³
* volume: 25.5 Å³/atom
* ΔE to the lowest computed polymorph: 190 meV/atom
=====

• Request:
Print the contents above unchanged.

• Outcome:
Entry 1:
DFT (GGA-PBE) results for a geometry-optimized Sc2MnP structure.

extended XYZ file:
```
4
Lattice="-2.886 -0.665 -0.526 0.304 -2.553 1.561 -1.955 3.569 6.218" Properties=species:S:1:pos:R:3 pbc="T T T"
Sc -1.832 3.343 5.826
Sc -1.901 -0.495 2.458
Mn -1.093 1.995 3.476
P -2.644 0.860 4.820
```

Output
* density: 4.34 g cm⁻³
* ΔH_f (0 K): -417.5 meV per atom
* volume: 16.8 Å³/atom
* space group: P4mm (99)

Entry 2:
DFT (GGA-PBE) results for a geometry-optimized K2LaBr structure.

extended XYZ file:
```
4
Lattice="8.208 -0.005 0.006 4.482 6.877 -0.006 -5.334 -5.304 3.286" Properties=species:S:1:pos:R:3 pbc="T T T"
Br 2.902 2.589 1.640
K 0.783 0.424 0.000
K 4.525 -0.982 1.646
La 5.492 2.974 0.000
```

Output
* formation energy (no corrections): -0.396 eV per atom
* density: 2.66 g cm⁻³
* volume: 46.3 Å³/atom
* ΔE to the lowest computed polymorph: 161 meV/atom
* space group: Imm2 (44)

Entry 3:
DFT (GGA-PBE) results for a geometry-optimized Nb6Al3V structure.

extended XYZ file:
```
20
Lattice="5.038 0.000 0.018 0.000 7.866 0.000 0.052 0.000 9.051" Properties=species:S:1:pos:R:3 pbc="T T T"
Nb 2.880 1.305 8.565
Nb 2.819 1.364 5.052
Nb 3.321 3.324 2.344
Nb 1.769 4.542 6.725
Nb 2.271 6.502 4.016
Nb 2.209 6.561 0.503
Nb 0.335 2.628 4.031
Nb 0.274 2.569 0.518
Nb 0.828 0.609 6.860
Nb 4.262 7.256 2.208
Nb 4.815 5.297 8.551
Nb 4.754 5.238 5.037
Al 3.333 7.006 6.809
Al 2.519 3.933 0.009
Al 1.756 0.860 2.259
Al 0.788 4.793 2.275
Al 0.026 0.000 4.525
Al 4.301 3.073 6.794
V 2.545 3.933 4.534
V 0.000 0.000 0.000
```

Output
* density: 6.38 g cm⁻³
* ΔH_f (0 K): 86.4 meV per atom
* volume: 17.9 Å³/atom
* space group: P2_1/c (14)

Entry 4:
DFT (GGA-PBE) results for a geometry-optimized ErMnFe2 structure.

extended XYZ file:
```
16
Lattice="7.711 -3.359 0.000 -3.404 7.697 0.000 0.000 0.000 6.111" Properties=species:S:1:pos:R:3 pbc="T T T"
Er -0.851 1.924 3.821
Er 1.302 4.093 0.767
Er 5.158 2.414 2.290
Er 3.005 0.245 5.344
Mn 1.302 4.093 3.822
Mn 3.004 0.245 2.290
Mn -0.851 1.924 0.772
Mn 5.158 2.414 5.339
Fe 0.000 0.000 0.000
Fe 2.153 2.169 3.056
Fe -0.607 4.906 4.595
Fe 4.914 -0.568 1.516
Fe 3.212 3.281 4.595
Fe 1.095 1.057 1.516
Fe -1.702 3.849 0.000
Fe 3.856 -1.680 3.056
```

Output
* density: 7.57 g cm⁻³
* ΔH_f (0 K): 583.4 meV per atom
* volume: 18.3 Å³/atom
* space group: P2/c (13)

Entry 5:
DFT (GGA-PBE) results for a geometry-optimized PmHo4Zn structure.

extended XYZ file:
```
12
Lattice="6.142 -0.641 0.000 -2.417 8.646 0.000 -1.863 -4.002 6.785" Properties=species:S:1:pos:R:3 pbc="T T T"
Pm 0.327 4.163 1.353
Pm 1.536 -0.160 5.432
Ho -1.637 -1.719 5.307
Ho 1.792 3.132 4.326
Ho -1.434 2.039 5.307
Ho -1.138 5.194 4.326
Ho 3.000 -1.191 2.459
Ho 3.297 1.963 1.478
Ho 0.071 0.871 2.459
Ho 3.500 5.721 1.478
Zn -2.744 4.483 6.781
Zn 4.607 -0.481 0.004
```

Output
* density: 8.26 g cm⁻³
* ΔH_f (0 K): -1.2 meV per atom
* volume: 29.1 Å³/atom
* ΔE to the lowest computed polymorph: 96 meV/atom
* space group: C2/c (15)

Entry 6:
DFT (GGA-PBE) results for a geometry-optimized Al2TeSe structure.

extended XYZ file:
```
4
Lattice="-0.919 1.094 3.746 -2.179 -2.437 2.322 4.505 -3.279 4.143" Properties=species:S:1:pos:R:3 pbc="T T T"
Te 0.352 -1.155 2.553
Al 4.416 -3.232 4.105
Al 0.792 -2.358 5.144
Se 1.055 -3.466 7.658
```

Output
* formation energy (no corrections): -0.286 eV per atom
* density: 4.73 g cm⁻³
* volume: 22.9 Å³/atom
* ΔE to the lowest computed polymorph: 64 meV/atom
* space group: C2/m (12)

Entry 7:
DFT (GGA-PBE) results for a geometry-optimized BeCdCl2 structure.

extended XYZ file:
```
8
Lattice="6.651 0.000 0.000 0.000 6.651 0.000 3.326 3.326 4.611" Properties=species:S:1:pos:R:3 pbc="T T T"
Be 3.326 3.326 0.000
Be 3.326 6.651 2.305
Cl 2.958 1.663 1.153
Cl 3.694 4.989 1.153
Cl 4.989 7.019 3.458
Cl 8.314 6.283 3.458
Cd 0.000 0.000 0.000
Cd 6.651 3.326 2.305
```

Output
* formation energy (no corrections): -0.716 eV per atom
* density: 3.13 g cm⁻³
* volume: 25.5 Å³/atom
* ΔE to the lowest computed polymorph: 190 meV/atom